Delicious Ecuadorian Epicurean Tour with a Side of Security
Days 9-10, 2023 Grand South America and Antarctica
Sunday and Monday, Oct.15-16, 2023, Guayaquil, Ecuador
“Is it safe to walk around town on your own?”
This is a question we all ask at some time or another on a long cruise. We are visiting unfamiliar places and don’t know what to expect. Some of the most popular tourist cities (Barcelona, I’m looking at you, among others) are beset by pickpockets. The standard precautions are usually enough – don’t wear jewelry or flash cash, make it a “frontpack” instead of a backpack, only take ashore what currency and cards you really need, and always be aware of what’s going on around you.
During the summer the U.S. State Department reissued its travel advisory for Ecuador, suggesting Americans reconsider travel to several provinces, including that of Manta, and most of Guayaquil due to increased crime. In addition, it advised “do not travel to” the southern part of Guayaquil, where the port is located.

Of course, this resulted in some chatter on our cruise social media sites about whether we would still visit these two Ecuadorian ports. But we didn’t hear anything more, and I forgot about it. At least, until a few days ago when the captain announced that while we would arrive at the Guayaquil port as scheduled at 4 p.m. on Sunday, no one could go ashore until the next day.
Sunday was national election day in Ecuador, and in addition to the general crime situation, there were concerns that unrest could develop after the election. But Sunday night the losing candidate graciously conceded, and as far as I know things remained calm.

I’m not sure what passengers would have done Sunday evening anyway. The industrial port is a good 30-minute drive from town, and I doubt there were many activities on a Sunday night. On board many passengers enjoyed the special Octoberfest celebration in the Lido and around the pool. I enjoyed a nice dinner in the Canaletto specialty restaurant with other clients of our travel agency.

This morning I joined a Holland America “foodie” tour, meaning it was offered in partnership with Food & Wine Magazine. These tours usually have fewer participants and are more expensive, but I enjoy them and have booked several on this cruise.
We first visited the Sauces IX market, which was large, clean and relatively cool under its cover. A few of our group purchased some of the colorful fruit. As many local people may not have refrigeration, and certainly not the large units found in most American homes, they shop frequently in small amounts. We moved from the produce to grocery staples such as cinnamon and rice, through household goods to fish, poultry and finally flowers.

I’ve been to similar markets from Fiji to Japan, but what set this one apart had nothing to do with the merchandise or the vendors. It was the “paparazzi” that we soon realized was following us as we wandered the aisles. Not only did a cameraman tape us almost every moment that we shopped, but a half dozen other people with digital cameras and smartphones were constantly taking our pictures. One in our group agreed to an interview.

It turns out that the Zaandam is the first cruise ship to visit Guayaquil this season, and our tour will make the local news. I had a small taste of what it is like for a celebrity to try to act normal while cameras are all around.
We also were shadowed by our police escorts. Two officerf dressed head-to-toe in black rode a motorcycle alongside our bus and walked with us through the market. Other passengers reported similar escorts, and those who took the free shuttle to a square in the city said there were police everywhere. I felt totally safe the whole day, but I don’t know if that was because of the security around us or not.

After the market we went to the beautiful Wyndham Hotel in the city center, where executive chef Rafael Hernández led us through making ceviche.

The delicious shrimp appetizer served as our starter, leading to a delicious lunch and dessert.

Someone pasted molecular data at this point >
********
Run 1
The following is a DFT calculation (the ωB97M-V functional and the def2-TZVPD basis) of a 2-piece molecular cluster, C8H12ClNO2 overall.

Summary:
E_LUMO (eV): 0.20
SMILES: C=C(Cl)C#N.CC=C(OC)OC
HOMO-LUMO gap (Ha): 0.305
HOMO energy (eV): -8.11

Geometry (Å):
C  2.39  0.71  -1.72
C  2.99  -0.04  -0.80
Cl  4.23  0.56  0.26
C  2.66  -1.39  -0.55
N  2.42  -2.48  -0.31
H  1.62  0.29  -2.34
H  2.65  1.74  -1.88
C  -1.87  -0.89  -1.44
C  -0.96  -1.08  -0.26
C  -0.30  -0.07  0.30
O  0.55  -0.14  1.37
C  0.56  -1.32  2.13
O  -0.41  1.19  -0.21
C  0.02  2.27  0.60
H  -2.13  0.16  -1.54
H  -2.78  -1.47  -1.31
H  -1.39  -1.21  -2.36
H  -0.82  -2.08  0.09
H  -0.45  -1.57  2.49
H  1.21  -1.12  2.98
H  0.96  -2.16  1.56
H  1.11  2.28  0.69
H  -0.42  2.22  1.60
H  -0.32  3.17  0.10

natural (NBO) analysis output, partial charges in e: C -0.30; C -0.16; Cl 0.04; C 0.25; N -0.29; H 0.23; H 0.22; C -0.63; C -0.39; C 0.60; O -0.53; C -0.26; O -0.53; C -0.25; H 0.22; H 0.21; H 0.20; H 0.22; H 0.18; H 0.20; H 0.20; H 0.18; H 0.18; H 0.19



Run 2
The following is a DFT calculation (the ωB97M-V functional and the def2-TZVPD basis) of a 2-piece molecular cluster, C8H12ClNO2 overall.

Summary:
E_LUMO (spin up / spin down) (eV): 0.70 / 0.87
HOMO-LUMO gap (spin up / spin down) (Ha): 0.250 / 0.292
HOMO energy (spin up / spin down) (eV): -6.11 / -7.07

Geometry (Å):
C  -0.40  0.48  -2.62
C  -1.44  1.09  -1.92
C  0.81  0.83  -1.97
C  0.52  1.59  -0.83
C  1.55  0.00  1.96
C  -1.43  -0.01  2.22
C  -0.02  -2.16  -0.48
C  0.58  -0.54  1.06
N  -0.89  1.75  -0.79
O  -0.76  -0.60  1.22
O  1.07  -1.48  0.23
Cl  2.40  0.33  -2.44
H  -0.57  -0.18  -3.43
H  -2.53  0.95  -2.14
H  1.26  0.88  2.53
H  2.41  0.21  1.25
H  1.91  -0.74  2.64
H  -2.43  -0.46  2.38
H  1.22  2.15  -0.17
H  -0.90  0.50  3.06
H  -0.58  -2.68  0.33
H  0.32  -2.80  -1.27
H  -0.69  -1.35  -0.72
H  -1.45  2.22  -0.09

natural (NBO) analysis output, partial charges in e: C -0.33; C -0.06; C -0.11; C -0.10; C -0.71; C -0.30; C -0.27; C 0.59; N -0.52; O -0.43; O -0.50; Cl 0.01; H 0.23; H 0.23; H 0.23; H 0.25; H 0.23; H 0.17; H 0.23; H 0.16; H 0.18; H 0.20; H 0.21; H 0.43



Last place for stability: run 2

----------

1.
A molecular structure, C21H43BCdO2P2 in a non-equilibrium geometry, computed with ωB97M-V/def2-TZVPD.

Geometry (Å):
Cd  -2.126413  1.749229  0.333844
P  0.414959  -3.845234  -0.370115
P  1.347092  -2.103455  -3.804107
O  -3.350030  3.583624  2.564702
O  -1.118258  2.968669  2.981318
C  0.963051  -0.659227  -2.838221
C  -0.695228  3.890416  5.111454
C  -0.162676  -0.979613  -1.756443
C  1.039983  -2.206365  0.188511
C  -3.538431  3.148933  4.900987
C  0.387377  -4.211672  -2.150773
C  -0.018404  -2.320186  -4.967245
C  1.914557  0.341067  -2.336937
C  2.826614  0.177859  -1.228067
C  -3.670427  5.450196  3.965834
C  -0.993438  2.408699  -1.384125
C  -2.984662  4.103803  3.839978
C  3.188681  -1.332867  -0.961066
C  2.490187  -2.086999  0.055465
C  -1.411976  4.100030  3.794762
********

Before dinner I joined the singles and solos reception, where about 25 passengers mingled. It’s a nice change to get to know fellow travelers and perhaps even make plans for dinner or exploring future ports.
Just love reading your cruise stories. This one was different from others. Sounds a bit scary,
but your safety was a bit concern to the locals & sounds like you were looked after wonderfully..
Hey! Likin’ that toque and black glove action!! Maybe you can come supervise Ed in the kitchen while I recuperate from my knee! 🤣🤣🤣🤣
Gee, despite the need for security precautions, this sounds like a wonderful day. I wish I had some ceviche!
Thank you for sharing your impressions from our lovely cruise!
Hi Jo, Thanks for the advance warning on Barcelona. We’ll be there with the P-to-P after last being there in 1978. Clearly now a different place to what it was then! After being robbed in Brussels after the GWV we are just that little bit more careful now!
I enjoy reading about your travels. In April this year I was on a ship that docked in Puerto Bolivar and we did a tour to Machala and a banana plantation. In the fruit market we had people following us around with video cameras and in the city were many police, some stopping the traffic to make sure we crossed the road safely. When moving between locations we had two motor cycle police escorting the bus. The guide explained that building tourism is vitally important to Ecuador’s economy, so the tourism police has been set up by local governments to make sure tourist operations run smoothly.
Hey Jo,
Enjoyed this…. I have been saving them up for when I have time to savor your musings.
So … distressing?? aggravating??? sad??? — has the human race gone bananas?? CRIME, UNREST, etc — it’s really only a few people in comparison to the masses who are causing the mess — here in Chicago, in Ecuador, in Israel/Palestine, in Ukraine, in….
Be well, hope to cross paths whenever — especially when you come through Chicago.
Love and Peace — Toya